Excerpt
........
# 1
Material: PrTmScGa
Method: DFT, PBE
State: relaxed

The structure in POSCAR format:
```
PrTmScGa
1.0
-0.429 1.220 5.099
3.952 -1.070 3.302
2.874 3.916 2.018
Ga Sc Tm Pr
1 1 1 1
direct
0.250 0.250 0.250
0.750 0.750 0.750
0.000 0.000 0.000
0.500 0.500 0.500
```

## Properties
density = 6.9 g/cm³
calculated formation energy = -0.13 eV per atom
space-group type = F-43m, No. 216

=====

# 2
Material: TbPr2SmHo2
Method: DFT, PBE
State: relaxed

The structure in POSCAR format:
```
TbPr2SmHo2
1.0
-5.261 2.121 0.684
-2.537 -4.868 -4.420
-1.486 -6.145 7.621
Pr Ho Tb Sm
4 4 2 2
direct
0.000 0.758 0.829
0.000 0.258 0.171
0.500 0.508 0.000
0.500 0.008 0.000
0.000 0.258 0.834
0.500 0.257 0.334
0.500 0.757 0.666
0.000 0.758 0.166
0.500 0.257 0.663
0.500 0.757 0.337
0.000 0.007 0.500
0.000 0.507 0.500
```

## Properties
density = 7.7 g/cm³
calculated formation energy = 0.07 eV per atom
space-group type = Pmc2_1, No. 26

=====

# 3
Material: ZrTeMo2
Method: DFT, PBE
State: relaxed

The structure in POSCAR format:
```
ZrTeMo2
1.0
-3.217 -1.630 -4.223
1.200 -4.749 -2.616
-1.159 2.234 4.950
Mo Te Zr
2 1 1
direct
0.012 0.012 0.000
0.247 0.747 0.500
0.488 0.488 0.000
0.754 0.254 0.500
```

## Properties
density = 9.3 g/cm³
formation energy from raw total energies = 0.0670 eV per atom
space-group type = Imm2, No. 44

=====

# 4
Material: CaScB2
Method: DFT, PBE
State: relaxed

The structure in POSCAR format:
```
CaScB2
1.0
-0.676 -3.316 2.802
1.353 0.334 4.167
-2.940 0.424 3.237
B Ca Sc
2 1 1
direct
0.250 0.250 0.250
0.750 0.750 0.750
0.000 0.000 0.000
0.500 0.500 0.500
```

## Properties
density = 3.0 g/cm³
energy above the lowest structure with this stoichiometry = 0 meV per atom
calculated formation energy = 0.46 eV per atom
space-group type = Fm-3m, No. 225

=====

# 5
Material: Y2TePt2
Method: DFT, PBE
State: relaxed

The structure in POSCAR format:
```
Y2TePt2
1.0
4.982 0.000 0.000
0.000 4.982 0.000
2.491 2.491 5.239
Pt Y Te
2 2 1
direct
0.376 0.376 0.248
0.624 0.624 0.752
0.250 0.750 0.500
0.750 0.250 0.500
0.000 0.000 0.000
```

## Properties
density = 8.9 g/cm³
energy above the lowest structure with this stoichiometry = 210 meV per atom
formation energy from raw total energies = -0.9625 eV per atom
space-group type = I4/mmm, No. 139

=====

# 6
Material: Zn2CdSb
Method: DFT, PBE
State: relaxed

The structure in POSCAR format:
```
Zn2CdSb
1.0
-1.405 2.615 4.304
-5.214 -0.379 -0.027
3.846 -3.541 -0.041
Sb Zn Cd
1 2 1
direct
0.250 0.750 0.500
0.997 0.997 0.000
0.503 0.503 0.000
0.750 0.250 0.500
```

## Properties
density = 7.1 g/cm³
energy above the lowest structure with this stoichiometry = 64 meV per atom
formation energy from raw total energies = 0.1611 eV per atom
space-group type = Immm, No. 71

=====

# 7
Material: GeBiAu4
Method: DFT, PBE
State: relaxed

The structure in POSCAR format:
```
GeBiAu4
1.0
-1.731 -5.043 2.999
6.369 -1.585 1.012
-3.293 3.959 5.132
Au Bi Ge
8 2 2
direct
0.284 0.723 0.446
0.590 0.325 0.209
0.000 0.201 0.000
0.716 0.277 0.554
0.000 0.799 0.000
0.590 0.885 0.209
0.410 0.115 0.791
0.410 0.675 0.791
0.199 0.208 0.417
0.801 0.792 0.583
0.739 0.471 0.942
0.261 0.529 0.058
```
........
Work order
Could you copy all of the data earlier on without additions?
Reply
# 1
Material: PrTmScGa
Method: DFT, PBE
State: relaxed

The structure in POSCAR format:
```
PrTmScGa
1.0
-0.429 1.220 5.099
3.952 -1.070 3.302
2.874 3.916 2.018
Ga Sc Tm Pr
1 1 1 1
direct
0.250 0.250 0.250
0.750 0.750 0.750
0.000 0.000 0.000
0.500 0.500 0.500
```

## Properties
density = 6.9 g/cm³
calculated formation energy = -0.13 eV per atom
space-group type = F-43m, No. 216

=====

# 2
Material: TbPr2SmHo2
Method: DFT, PBE
State: relaxed

The structure in POSCAR format:
```
TbPr2SmHo2
1.0
-5.261 2.121 0.684
-2.537 -4.868 -4.420
-1.486 -6.145 7.621
Pr Ho Tb Sm
4 4 2 2
direct
0.000 0.758 0.829
0.000 0.258 0.171
0.500 0.508 0.000
0.500 0.008 0.000
0.000 0.258 0.834
0.500 0.257 0.334
0.500 0.757 0.666
0.000 0.758 0.166
0.500 0.257 0.663
0.500 0.757 0.337
0.000 0.007 0.500
0.000 0.507 0.500
```

## Properties
density = 7.7 g/cm³
calculated formation energy = 0.07 eV per atom
space-group type = Pmc2_1, No. 26

=====

# 3
Material: ZrTeMo2
Method: DFT, PBE
State: relaxed

The structure in POSCAR format:
```
ZrTeMo2
1.0
-3.217 -1.630 -4.223
1.200 -4.749 -2.616
-1.159 2.234 4.950
Mo Te Zr
2 1 1
direct
0.012 0.012 0.000
0.247 0.747 0.500
0.488 0.488 0.000
0.754 0.254 0.500
```

## Properties
density = 9.3 g/cm³
formation energy from raw total energies = 0.0670 eV per atom
space-group type = Imm2, No. 44

=====

# 4
Material: CaScB2
Method: DFT, PBE
State: relaxed

The structure in POSCAR format:
```
CaScB2
1.0
-0.676 -3.316 2.802
1.353 0.334 4.167
-2.940 0.424 3.237
B Ca Sc
2 1 1
direct
0.250 0.250 0.250
0.750 0.750 0.750
0.000 0.000 0.000
0.500 0.500 0.500
```

## Properties
density = 3.0 g/cm³
energy above the lowest structure with this stoichiometry = 0 meV per atom
calculated formation energy = 0.46 eV per atom
space-group type = Fm-3m, No. 225

=====

# 5
Material: Y2TePt2
Method: DFT, PBE
State: relaxed

The structure in POSCAR format:
```
Y2TePt2
1.0
4.982 0.000 0.000
0.000 4.982 0.000
2.491 2.491 5.239
Pt Y Te
2 2 1
direct
0.376 0.376 0.248
0.624 0.624 0.752
0.250 0.750 0.500
0.750 0.250 0.500
0.000 0.000 0.000
```

## Properties
density = 8.9 g/cm³
energy above the lowest structure with this stoichiometry = 210 meV per atom
formation energy from raw total energies = -0.9625 eV per atom
space-group type = I4/mmm, No. 139

=====

# 6
Material: Zn2CdSb
Method: DFT, PBE
State: relaxed

The structure in POSCAR format:
```
Zn2CdSb
1.0
-1.405 2.615 4.304
-5.214 -0.379 -0.027
3.846 -3.541 -0.041
Sb Zn Cd
1 2 1
direct
0.250 0.750 0.500
0.997 0.997 0.000
0.503 0.503 0.000
0.750 0.250 0.500
```

## Properties
density = 7.1 g/cm³
energy above the lowest structure with this stoichiometry = 64 meV per atom
formation energy from raw total energies = 0.1611 eV per atom
space-group type = Immm, No. 71

=====

# 7
Material: GeBiAu4
Method: DFT, PBE
State: relaxed

The structure in POSCAR format:
```
GeBiAu4
1.0
-1.731 -5.043 2.999
6.369 -1.585 1.012
-3.293 3.959 5.132
Au Bi Ge
8 2 2
direct
0.284 0.723 0.446
0.590 0.325 0.209
0.000 0.201 0.000
0.716 0.277 0.554
0.000 0.799 0.000
0.590 0.885 0.209
0.410 0.115 0.791
0.410 0.675 0.791
0.199 0.208 0.417
0.801 0.792 0.583
0.739 0.471 0.942
0.261 0.529 0.058
```